Work out how many lines underneath have the word "listed" in them; a number is enough.

<<<
(1)
Mg14TiCrO16 | GGA+U | relaxed

Cell: 8.632 8.632 4.249 Å, 90.00 90.00 90.00°
Atoms (fractional coordinates):
Mg 0.000 0.252 0.000
Mg 0.000 0.500 0.500
Mg 0.000 0.748 0.000
Mg 0.245 0.500 0.000
Mg 0.249 0.249 0.500
Mg 0.249 0.751 0.500
Mg 0.252 0.000 0.000
Mg 0.500 0.000 0.500
Mg 0.500 0.245 0.000
Mg 0.500 0.755 0.000
Mg 0.748 0.000 0.000
Mg 0.751 0.249 0.500
Mg 0.751 0.751 0.500
Mg 0.755 0.500 0.000
Ti 0.500 0.500 0.500
Cr 0.000 0.000 0.500
O 0.000 0.000 0.000
O 0.000 0.261 0.500
O 0.000 0.500 0.000
O 0.000 0.739 0.500
O 0.248 0.500 0.500
O 0.250 0.250 0.000
O 0.250 0.750 0.000
O 0.261 0.000 0.500
O 0.500 0.000 0.000
O 0.500 0.248 0.500
O 0.500 0.500 0.000
O 0.500 0.752 0.500
O 0.739 0.000 0.500
O 0.750 0.250 0.000
O 0.750 0.750 0.000
O 0.752 0.500 0.500

Space-group type: P4/mmm

(2)
MoP4O12 | GGA+U | relaxed

Cell: 7.655 13.130 12.098 Å, 90.00 129.18 90.00°
Atoms (fractional coordinates):
Mo 0.074 0.226 0.485
Mo 0.074 0.274 0.985
Mo 0.926 0.726 0.015
Mo 0.926 0.774 0.515
P 0.074 0.579 0.275
P 0.074 0.921 0.775
P 0.191 0.143 0.781
P 0.191 0.357 0.281
P 0.346 0.088 0.257
P 0.346 0.412 0.757
P 0.439 0.634 0.730
P 0.439 0.866 0.230
P 0.561 0.134 0.770
P 0.561 0.366 0.270
P 0.654 0.588 0.243
P 0.654 0.912 0.743
P 0.809 0.643 0.719
P 0.809 0.857 0.219
P 0.926 0.079 0.225
P 0.926 0.421 0.725
O 0.032 0.151 0.620
O 0.032 0.349 0.120
O 0.052 0.601 0.140
O 0.052 0.899 0.640
O 0.165 0.216 0.864
O 0.165 0.284 0.364
O 0.177 0.051 0.285
O 0.177 0.449 0.785
O 0.194 0.031 0.831
O 0.194 0.469 0.331
O 0.195 0.653 0.392
O 0.195 0.847 0.892
O 0.213 0.152 0.120
O 0.213 0.348 0.620
O 0.224 0.694 0.654
O 0.224 0.806 0.154
O 0.378 0.518 0.700
O 0.378 0.982 0.200
O 0.388 0.157 0.611
O 0.388 0.343 0.111
O 0.441 0.627 0.113
O 0.441 0.873 0.613
O 0.446 0.155 0.840
O 0.446 0.345 0.340
O 0.554 0.655 0.660
O 0.554 0.845 0.160
O 0.559 0.127 0.387
O 0.559 0.373 0.887
O 0.612 0.657 0.889
O 0.612 0.843 0.389
O 0.622 0.018 0.800
O 0.622 0.482 0.300
O 0.776 0.194 0.846
O 0.776 0.306 0.346
O 0.787 0.652 0.380
O 0.787 0.848 0.880
O 0.805 0.153 0.108
O 0.805 0.347 0.608
O 0.806 0.531 0.669
O 0.806 0.969 0.169
O 0.823 0.551 0.215
O 0.823 0.949 0.715
O 0.835 0.716 0.636
O 0.835 0.784 0.136
O 0.948 0.101 0.360
O 0.948 0.399 0.860
O 0.968 0.651 0.880
O 0.968 0.849 0.380

Energy relative to the lowest polymorph listed for this composition (meV per atom): 23
Space-group type: P2_1/c

(3)
Na2Fe2O5 | GGA+U | relaxed

Cell: 5.421 14.553 5.535 Å, 90.00 90.00 90.00°
Atoms (fractional coordinates):
Na 0.015 0.108 0.022
Na 0.015 0.392 0.022
Na 0.485 0.608 0.522
Na 0.485 0.892 0.522
Na 0.515 0.108 0.478
Na 0.515 0.392 0.478
Na 0.985 0.608 0.978
Na 0.985 0.892 0.978
Fe 0.000 0.000 0.500
Fe 0.000 0.500 0.500
Fe 0.049 0.250 0.570
Fe 0.451 0.750 0.070
Fe 0.500 0.000 0.000
Fe 0.500 0.500 0.000
Fe 0.549 0.250 0.930
Fe 0.951 0.750 0.430
O 0.016 0.639 0.556
O 0.016 0.861 0.556
O 0.112 0.750 0.131
O 0.245 0.512 0.242
O 0.245 0.988 0.242
O 0.255 0.012 0.742
O 0.255 0.488 0.742
O 0.388 0.250 0.631
O 0.484 0.139 0.056
O 0.484 0.361 0.056
O 0.516 0.639 0.944
O 0.516 0.861 0.944
O 0.612 0.750 0.369
O 0.745 0.512 0.258
O 0.745 0.988 0.258
O 0.755 0.012 0.758
O 0.755 0.488 0.758
O 0.888 0.250 0.869
O 0.984 0.139 0.444
O 0.984 0.361 0.444

Space-group type: Pnma

(4)
Ca8Mn7CrO20 | GGA+U | relaxed

Cell: 10.973 11.150 15.365 Å, 89.84 89.61 88.13°
Atoms (fractional coordinates):
Ca 0.000 0.000 0.000
Ca 0.001 0.496 0.006
Ca 0.040 0.492 0.278
Ca 0.041 0.990 0.775
Ca 0.041 0.995 0.279
Ca 0.042 0.495 0.774
Ca 0.218 0.241 0.517
Ca 0.218 0.739 0.518
Ca 0.220 0.240 0.015
Ca 0.220 0.740 0.010
Ca 0.247 0.743 0.766
Ca 0.248 0.242 0.767
Ca 0.249 0.243 0.267
Ca 0.251 0.741 0.270
Ca 0.454 0.471 0.021
Ca 0.457 0.968 0.022
Ca 0.458 0.467 0.522
Ca 0.458 0.967 0.522
Ca 0.480 0.473 0.767
Ca 0.481 0.973 0.768
Ca 0.483 0.478 0.267
Ca 0.485 0.975 0.266
Ca 0.766 0.253 0.288
Ca 0.766 0.257 0.787
Ca 0.767 0.757 0.785
Ca 0.768 0.757 0.289
Ca 0.774 0.234 0.513
Ca 0.774 0.732 0.513
Ca 0.775 0.731 0.013
>>>

1